(4 replies, posted in General)

How can I hide combobox items on a button click?

I have two forms
Form1 with Button1 and Button2
Form 2 has a combobox with Item1, Item2, Item3, Item4. Combobox items (data) added manually in SQLiteStudio.

If Button1 clicked
Show only combobox Item1 and Item 3
If Button2 clicked
Show only combobox Item1, Item 2 and Item4

I couldn't translate the above into MVD script that works?


(6 replies, posted in General)

Does the attached come closer to what you want?

Hi Derek,

I wish I could have said big yes, but unfortunately it's not. However, I'm truly grateful for your kind efforts of help... Always...

I'm not sure if you have checked out my latest sample project named "Save as new record Test.zip " on post #3. There, all those show/hide, enable/disable events quite close to what I'm trying to achieve with the exception of hiding some Invoice Type combo items.
1. Hiding when adding new record. Since we can only issue refund for something received, I wanted to hide "Sale", "Sale Refund" and "Purchase Refund" combo items when we are adding a new purchase invoice. Smilarly, hiding "Purchase", "Sale Refund" and "Purchase Refund" combo items when we are adding a new sale invoice.
2. When user clicks on Edit selected Purchase Invoice, Invoice Type combo item "Sale Refund" should be hidden preventing user saving it as a sale refund by mistake.
3. When user clicks on Edit selected Sale Invoice, Invoice Type combo item "Purchase Refund" should be hidden preventing user saving it as a purchase refund by mistake.

Key point is when issuing a refund against an invoice (fully or partially) refund should be saved as a new record, not overwriting existing record as it currently does. Please see images (1,2,3 and 4) on the post #3. Hence the title of the post most important part is to achieve saving existing record as different/new record which I have no idea how to do it with using same table and form. Perhaps post title should have been Saving existing record as an another record.

Required overlying objects on the form can be done later on as needed. It's easier to manage them during work/test phase. I left Refund numbers panels separate atm but they will be overlaid once all working. I usually do cosmetics on later stages of the project .


(6 replies, posted in General)

Hi Derek,

Thank you very much for the sample.......................

Last couple of days I have been trying to achieve desired solution.
I have changed for all show/hide, disable/enable events around Invoice type combo onChange.

However, saving existing record (issuing a refund against existing sale/purchase invoice) issue is still outstanding. The way I'm trying to do this task as illustrated on the image below:



(6 replies, posted in General)

I have tried something without success. Idea is converting sale/purchase invoice into refund and saving it as a new record next to original invoice sale/purchase inv record.

Please see the attached sample project


(2 replies, posted in General)

Hi Derek,

Thank you very much......................
Truly appreciated..............................


(2 replies, posted in General)

I tried to display appropriate combo box values. If I click on Add or Edit sale invoice button on form1, I wanted to display 'Sale' combo value in combo box Inv Type on Invoice form and so on.

Tried buttons after click and frmInvoice onShow events but both didn't work.

procedure Form1_btnPurchEdit_OnAfterClick (Sender: string);
  frmInvoice.cbInvoiceDBCR.Text := 'Purchase';

procedure Form1_btnPurchAdd_OnAfterClick (Sender: string);
  frmInvoice.cbInvoiceDBCR.Text := 'Purchase';

procedure Form1_btnSaleEditRefund_OnAfterClick (Sender: string);
  frmInvoice.cbInvoiceDBCR.Text := 'Purchase Refund';

procedure frmInvoice_OnShow (Sender: string; Action: string);
  if Form1.btnPurchAdd.click then
    frmInvoice.cbInvoiceDBCR.Text := 'Purchase';

Ps/. I used Derek's custom line on combobox.

Please see the attached sample project if needed


(3 replies, posted in General)

Hi Derek,

Thank you very much for your help... Truly appreciated.....
Your solution my be better than mine and something to learn from.

My solution was this. It seems to be working but not altogether sure about it tho.

(DbCr.dbcr= "Sale") or  (DbCr.dbcr= "Sale Refund") 
(DbCr.dbcr= "Purchase") or  (DbCr.dbcr= "Purchase Refund") 


(3 replies, posted in General)

I'm trying to use one form for all invoices and displaying them on their receptive tGrids using combobox filter for each type on tGrid settings filter field. Tried few variations without any success.

it's sorted.


(6 replies, posted in General)

Thank you very much for the solution and quick reply..............................................

Looks like my logic is still rotten in these matters.


(6 replies, posted in General)


Looks like I have overlooked some items.

Adding sale or refund inv works fine.
However, converting (changing) sele inv to refund inv and refund inv to sale inv using DB/CR combo is not.

1. Entered sale  then changed DC/CR combo to refund. Discount and Deliv Cost fields values is not converted to minus:

1. Entered refund then changed DC/CR combo to sale. Discount and Deliv Cost fields values is not converted to positive numbers:

I have tried to move your code under DBCR combo on change with else but didn't work:

procedure frmSalesInv_cbSaleInvDBCR_OnChange (Sender: string); // SALE or REFUND
  If (frmSalesInv.cbSaleInvDBCR.dbItemID = 2) and (frmSalesInv.edSalesInvDelivCost.Value > 0) then
      frmSalesInv.edSalesInvDelivCost.Value := 0 - frmSalesInv.edSalesInvDelivCost.Value;
      end else
      frmSalesInv.cbSaleInvDBCR.dbItemID := 1;

  If (frmSalesInv.cbSaleInvDBCR.dbItemID = 2) and (frmSalesInv.edSalesInvDiscount.Value > 0) then
      frmSalesInv.edSalesInvDiscount.Value := 0 - frmSalesInv.edSalesInvDiscount.value;
      end else
      frmSalesInv.cbSaleInvDBCR.dbItemID := 1;


(6 replies, posted in General)


Great stuff as usual.................
Thank you very much.............
Truly appreciated....................


(6 replies, posted in General)

Sorted calc fields.. but cannot get Discount and Deliv Cost values displayed as minus (-) values.

tried following but no luck

frmSalesInv.edSalesInvDelivCost.Value := - (frmSalesInv.edSalesInvDelivCost.Value);
frmSalesInv.edSalesInvDiscount.value := - (frmSalesInv.edSalesInvDiscount.value);


(6 replies, posted in General)

I just couldn't work out the way to display refund (Cr.) invoice values in minus. I got some OK (Thanks to Derek's sample) but some not as highlighted on the image below. As a result calcs return incorrect values.


Please see the attached sample project.


(7 replies, posted in General)

Hi Derek,
Nice one...  Truly appreciated..........
Adding a message for selecting actual item is very thoughtful of you.

Hi JB,
Thanks for the info.............


(7 replies, posted in General)

Thanks a lot guys....

derek wrote:

Hi Adam,
Is this so it's like some sort of hint for the user?

Yes Derek, instead of showing blank or no space, having text line something like "Please select one"


(7 replies, posted in General)

Is it possible to add a custom text on ComboBox first empty Item?


(2 replies, posted in General)

Hi Math,

Thank you very much..............
Still an absolute beginner I'm.. Couldn't think wrapping.
Your quick help truly appreciated.............

[Between two parts of the entry: calculated crystals]
=====
Computed, not measured: a relaxed V2InPb3O9 crystal at the GGA+U level of DFT.

Summary:
Volume: 13.3 Å³/atom
Density: 8.147 g/cm3
Total magnetization: 1.00 μB per formula unit
Total DFT energy (no corrections): -95.6 eV per formula unit

Lattice parameters (Å, degrees): 5.6843 5.6843 7.1545 90.00 90.00 120.00
Atoms (fractional coordinates):
V: 0.3333 0.6667 0.1852
V: 0.6667 0.3333 0.8148
In: 0.0000 0.0000 0.5000
Pb: 0.3333 0.6667 0.7343
Pb: 0.0000 0.0000 0.0000
Pb: 0.6667 0.3333 0.2657
O: 0.8286 0.1714 0.6902
O: 0.8286 0.6573 0.6902
O: 0.3427 0.1714 0.6902
O: 0.6573 0.8286 0.3098
O: 0.1714 0.3427 0.3098
O: 0.1714 0.8286 0.3098
O: 0.5000 0.0000 0.0000
O: 0.0000 0.5000 0.0000
O: 0.5000 0.5000 0.0000

=====

Th4Co2Au5: relaxed, PBE-GGA.

Unit cell a=3.754 b=7.337 c=9.047 alpha=93.87 beta=90.00 gamma=90.00
Element x y z (fractional)
Th  0.500  0.224  0.419
Th  0.500  0.803  0.156
Au  0.000  0.160  0.131
Au  0.000  0.442  0.659
Th  0.500  0.776  0.581
Co  0.000  0.058  0.641
Au  0.000  0.840  0.869
Au  0.000  0.500  0.000
Co  0.000  0.942  0.359
Au  0.000  0.558  0.341
Th  0.500  0.197  0.844

Space group = No. 10

Th3CoAu: relaxed, PBE-GGA.

Unit cell a=5.714 b=7.221 c=7.065 alpha=90.00 beta=90.00 gamma=117.88
Element x y z (fractional)
Au  0.584  0.306  0.250
Th  0.097  0.305  0.484
Th  0.903  0.695  0.984
Th  0.903  0.695  0.516
Th  0.496  0.142  0.750
Co  0.075  0.974  0.250
Th  0.097  0.305  0.016
Co  0.925  0.026  0.750
Th  0.504  0.858  0.250
Au  0.416  0.694  0.750

ΔE to the lowest computed polymorph = 4.1 kJ per mole of atoms
Space group = No. 11

Th6CoAu3: relaxed, PBE-GGA.

Unit cell a=6.512 b=8.238 c=10.430 alpha=90.00 beta=87.39 gamma=90.00
Element x y z (fractional)
Th  0.650  0.156  0.935
Au  0.581  0.876  0.745
Au  0.081  0.624  0.245
Au  0.500  0.500  0.000
Au  0.919  0.376  0.755
Co  0.000  0.000  0.000
Th  0.850  0.656  0.565
Au  0.000  0.000  0.500
Th  0.350  0.844  0.065
Th  0.885  0.693  0.927
Co  0.500  0.500  0.500
Th  0.662  0.448  0.264
Th  0.338  0.552  0.736
Th  0.150  0.344  0.435
Th  0.385  0.807  0.427
Th  0.162  0.052  0.764
Th  0.838  0.948  0.236
Th  0.115  0.307  0.073
Th  0.615  0.193  0.573
Au  0.419  0.124  0.255

Space group = No. 14

ThCoAu: relaxed, PBE-GGA.

Unit cell a=3.812 b=3.765 c=8.674 alpha=102.53 beta=90.00 gamma=90.00
Site moments in Bohr magnetons follow the coordinates.
Element x y z (fractional)
Au  0.250  0.707  0.414  0.00
Co  0.250  0.544  0.087  0.17
Co  0.750  0.456  0.913  0.17
Th  0.250  0.898  0.797  -0.02
Au  0.750  0.293  0.586  0.00
Th  0.750  0.102  0.203  -0.02

Space group = No. 63

ThCoAu: relaxed, PBE-GGA.

Unit cell a=3.810 b=4.407 c=4.407 alpha=120.00 beta=90.00 gamma=90.00
Site moments in Bohr magnetons follow the coordinates.
Element x y z (fractional)
Co  0.166  0.333  0.667  1.18
Au  0.167  0.000  0.000  0.06
Th  0.667  0.667  0.333  -0.07

Space group = No. 187

Th3Co2Au: relaxed, PBE-GGA.

Unit cell a=3.877 b=7.000 c=10.977 alpha=102.86 beta=90.00 gamma=90.00
=====
[Back to the entry]


(2 replies, posted in General)

I was trying to include two condition (boolean and Combobox) to perform the action with the below:

procedure frmSalesInv_btnCalc_OnClick (Sender: string; var Cancel: boolean; vrate:integer);
vrate := sqlexecute('select taxrate from taxrates where id = '+frmSalesInv.cbSaleInvTaxRate.sqlvalue);
  if frmSalesInv.cBoxSale.checked = True and        // if it's a DB line
     frmSalesInv.cbSaleInvDBCR.dbItemID = 0 then

  if  frmSalesInv.cBoxSale.checked = True and     // if it's a CR line
      frmSalesInv.cbSaleInvDBCR.dbItemID = 1 then

It didn't work. I couldn't get the right syntax/structure to join both conditions?
I'm trying to convert sale into credit inv (refund) on same inv form.


(3 replies, posted in General)


Thank you very much............
Truly appreciated.............


(3 replies, posted in General)

Still couldn't resolve clearing tGrid rows issue.
Perhaps I couldn't explain my issue clearly on my first post above. This time I try with the image below:



(2 replies, posted in General)

Hi Dmitry,

Thank you very much.................
Magic customer ratings formula........
Truly appreciated............


(2 replies, posted in General)

My one cell brain couldn't come up with solution....
What I like to do is rate customers according to amount they spent - to date. Rating added and updated automatically without any manual interference other than defining ratings in lookups tGrid.
Is this doable?

Please see the attached sample project as a work base


(14 replies, posted in General)

Thank you very much EHW...............
Nice one..............
I also thank you for showing (code) how to avoid saving blank records where child records involved by clicking on cancel.


(14 replies, posted in General)


At my end I cannot get checkboxes checked on running app. Please see image below as ref. Most likely I'm missing something?

On save front, I really don't want auto save. Save should be done when user wants to save by clicking on save button as they may be doing some test pw generations and they wouldn't want to save every test etc. Please don't misunderstand me. I'm not complaining. In fact I'm truly grateful for your all kind help. Would it be possible within your limited time to take of auto-save please?
So record is not saved after clicking on "generate passwords" button but after user clicks on "save" button - in this case button3.


(14 replies, posted in General)

Thank you soooooooo much EHW....................
Great Stuff..... truly appreciated............

Using editable tGRid instead of edit fields is a better approach. One reason I didn't use editable tGrid is that I didn't know limiting edit columns were possible or not as I wanted only 'Used' column to be editable. However, it's not a show stopper.

My intention of using 'Save' plus 'Save and Close' buttons was:
When user clicks on 'Save' button generated passwords are saved as a set, all fields and tGrid cleared except quatity and checkboxes so that it's ready to generate next passwords set.   'Save and Close' button saves generated passwords set and closes frmPwGen. I think it's my bad that I didn't make it clear. However, it's not big deal. It's fine with just usual save and close button.
I couldn't understand that as to why you have used dummy save button which saves the record before user clicks on save or save and close buttons?

'No similar characters' checkbox meant for not having same characters within same password, all characters would be unique within same password. Again, it's not that important as your code generates strong passwords with already applied properties. Nice work,  I'll take that option out.
On checkboxes I have another miss. I wanted all password construction properties checkboxes default state checked but I forgot to apply it on sample project. I changed them on MVD properties checked to true but it didn't work as they seems to be tied in within the code. Tried some alterations in code but no success.